Researchers “film” the activation of an important receptor

Study involving FAU may lead to the development of improved medicines
An international team of researchers has succeeded in “filming” the activation of an important receptor. They froze the involved molecules at different points in time and photographed them under the electron microscope. They were then able to place these still images in sequence. This sequence shows step by step which spatial changes the receptor undergoes when it is activated. Researchers at Friedrich-Alexander-Universität Erlangen-Nürnberg (FAU) contributed substantially to the study. The results, that have now been published in the journal Nature, may lead in the medium term to the development of more effective medicines.
Cells communicate with each other via signal molecules that they detect using specific receiving structures known as receptors. These are embedded in the cell membrane, the thin layer that surrounds the cell. One particularly important group of receptors are known as GPCRs If a suitable signal molecule attaches to their exterior, a complex chain of reactions is set in motion. The receptor changes its spatial structure, thereby activating a G-protein on the inside of the cell that is attached to the receptor. This protein moves away and can then, for example shuttles to an enzyme in the cell by diffusion to regulate this enzyme or it may switch the transcription of certain genes on or off.
“Humans have more than 800 GPCRs, each of which is specialized for detecting a particular signal,” explains Prof. Dr. Peter Gmeiner, Chair of Pharmaceutical Chemistry at FAU. “In our study we focused on one particular GPCR– the b2-adrenergic receptor. It is activated by adrenaline and is involved, for example, in the regulation of heart and lung function.” It is therefore also an important possible starting point for developing medicine for treating asthma or cardiac insufficiency. “In order to do so, however, it is important to have a comprehensive understanding of the activation of the receptor and the G-protein attached to it,” explains Gmeiner.
The results that have now been published may make a significant contribution. The international team led by Georgios Skiniotis (Stanford University) and including Brian Kobilka (Stanford University), Peter Hildebrand (Universität Leipzig and Charité Berlin) and Peter Gmeiner successfully broke down the process involved in the receptor activation, step by step. The researchers used a special method known as time-resolved cryogenic electron microscopy. The complex consisting of the receptor and G-protein is shock-frozen at -150 degrees shortly after activation. “Under the microscope, we obtain a series of different frames,” Gmeiner explains. “Different, because the thousands of molecules we observe under the microscope are never entirely synchronous. Their natural mobility means that some are frozen at a slightly earlier stage of activation and others at a more advanced stage.”
### Inserted here: crystal structures
-- begin --
30
Lattice="5.774 0.000 0.000 -2.877 5.041 0.000 0.000 -0.110 9.502" Properties=species:S:1:pos:R:3 comment="Li6Mn3Cr2Fe3O16, relaxed, DFT PBE+U" e_form_ev_per_atom=-2.002 sg=P1 total_magnetization_mub_per_cell=31.00 e_tot_ev_per_cell=-196.13 relative_energy_mev_per_atom=23 pbc="T T T"
Li 0.000 0.000 0.000
Li -1.384 2.350 9.463
Li -1.393 4.141 4.710
Li 1.399 2.347 9.459
Li 2.890 1.504 4.681
Li 1.422 4.149 4.706
Mn 1.438 2.371 6.893
Mn 2.892 1.554 2.128
Mn 4.350 2.373 6.894
Cr 0.006 1.572 4.281
Cr 0.009 4.853 9.039
Fe -1.420 4.118 2.163
Fe 1.442 4.119 2.160
Fe 2.892 4.911 6.927
O -1.452 3.980 8.049
O 0.004 1.623 7.978
O 0.008 3.088 5.714
O 1.312 0.860 5.656
O 0.012 3.502 0.860
O 1.608 0.743 0.887
O 1.488 2.385 3.297
O 2.892 -0.033 3.266
O 1.470 3.985 8.038
O 2.894 1.586 7.981
O 4.171 0.744 0.882
O 2.896 3.153 5.862
O 2.896 3.221 1.107
O 4.470 0.868 5.647
O 4.302 2.390 3.297
O 2.898 4.920 3.338

----------

Entry 1:
Sm2CuAs3O: optimized geometry, GGA-PBE.

The structure in extended XYZ format:
```
28
Lattice="3.991 0.000 0.000 0.000 4.000 0.000 0.000 0.000 34.823" Properties=species:S:1:pos:R:3 pbc="T T T"
Sm 0.998 1.005 18.564
Sm 0.998 1.232 28.700
As 0.998 2.995 3.688
As 2.994 2.763 10.256
As 2.994 1.005 31.135
Sm 2.994 2.995 16.258
Cu 0.998 2.766 8.707
As 0.998 1.236 24.567
As 2.994 3.236 27.667
As 0.998 3.324 31.096
O 0.998 2.994 34.818
Sm 2.994 2.768 6.123
Cu 2.994 0.766 8.704
O 2.994 0.995 17.416
Cu 0.998 3.233 26.118
Sm 0.998 0.995 1.153
Cu 2.994 1.233 26.116
As 0.998 3.005 21.099
As 0.998 0.764 7.155
As 2.994 1.324 21.138
O 2.994 1.005 0.005
Sm 2.994 3.232 23.534
As 0.998 2.676 13.685
As 2.994 0.995 13.723
O 0.998 3.005 17.407
As 2.994 0.676 3.727
Sm 2.994 3.005 33.669
Sm 0.998 0.768 11.289
```

- Total energy: -6.10 eV/atom
- Total energy after the MP2020 corrections: -6.19 eV/atom
- Calculated volume: 19.9 A^3/atom

=====

Entry 2:
TlCuAsO4: optimized geometry, GGA-PBE.

The structure in extended XYZ format:
```
28
Lattice="3.637 3.545 0.000 -3.637 3.545 0.000 0.000 1.295 18.487" Properties=species:S:1:pos:R:3 pbc="T T T"
O -1.217 2.530 5.293
O 1.171 5.208 10.409
Cu 0.603 2.088 4.632
O 0.246 2.991 2.976
Cu 0.603 5.649 4.611
Tl 2.151 3.599 1.135
O 2.673 3.638 12.195
As 1.217 4.548 11.968
O 1.217 5.854 13.194
O -1.171 4.560 1.165
O 1.217 3.178 14.536
O -2.673 2.990 2.952
O -1.171 3.177 8.078
O 1.171 3.824 17.321
O -0.246 5.394 15.511
O -2.673 4.747 6.291
O 0.246 4.746 6.267
Cu -0.603 2.736 13.875
O -0.246 3.638 12.219
Tl -2.151 4.786 17.352
As -1.217 3.837 6.518
O 2.673 5.395 15.535
As -1.217 3.900 2.725
Tl 2.151 4.139 8.108
Cu -0.603 6.297 13.855
O -1.217 5.207 3.950
Tl -2.151 4.246 10.378
As 1.217 4.485 15.762
```

- Total energy: -5.41 eV/atom
- Total energy after the MP2020 corrections: -5.81 eV/atom
- Calculated volume: 17.0 A^3/atom

=====

Entry 3:
U2Cu2As3O: optimized geometry, GGA-PBE.

The structure in extended XYZ format:
```
16
-- stop --
This “shock-freezing” can be repeated at different times after activation. The images gained as a result allow researchers to reconstruct the process step by step, at the atomic level. “In our work, we focus predominantly on changes to the spatial structure of the G-protein triggered after the drug attaches to the b2-adrenergic receptor,” explains Gmeiner. His group made a major contribution to the success of the project: they recently succeeded in creating a type of “super adrenaline” that binds particularly well to the b2-receptor.
“This strong bond stabilizes the complex consisting of the receptor and G-protein,” explains the scientist from FAU. Normally, this task is the responsibility of proteins known as adapter proteins. They act like molecular chewing gum and hold the complex together. “However, they do their job so well that no interim steps are visible under the cryogenic electron microscope,” explains Gmeiner. Thanks to his “super adrenaline”, the researchers were able to do without adapter proteins. The receptor-G protein complex is stable enough without them. “Only then were we able to make the movement visible.”
The results may facilitate the development of new medicines, and not only those that have an effect on the b2 adrenergic receptors. GPCRs are considered to play a central role in fighting disease. Almost one third of today’s approved drugs influence the function of these receptors, for example by strengthening or weakening the transmission of signals to cells. Time-resolved cryogenic electron microscopy should make it easier to develop particularly effective drugs tailored to a specific need and therefore with fewer side effects,” hopes Gmeiner.
It is vital that researchers completely understand the molecular processes of the receptors and their G-proteins for this to be the case. The Nobel Prize won several years ago by Brian Kobilka, one of the researchers involved in the current program, shows how important this is. He was the first to determine the three-dimensional structure of a GPCR using x-ray crystallography, at an atomic scale and in three different states. A tailor-made drug developed by Peter Gmeiner’s laboratory was also used in these experiments.
Further information:
Prof. Dr. Peter Gmeiner
Chair of Medicinal Chemistry
Phone: + 49 9131 85 65547